What are the neurocognitive impacts of COVID-19?
Mental fatigue and mild loss of concentration are frequently reported by people with COVID-19. This presentation is similar to that observed in other viral illnesses that usually do not involve any direct infection of the central nervous system. More severe cognitive impairment is reported in those with secondary illness such as stroke, which has been reported even in younger COVID patients and is believed to result from coagulopathy caused by SARS-CoV-2. Encephalopathy is observed after extubation, possibly due to lingering effects of sedation and possibly due to the effects of mechanical ventilation. This often resolves over a period of days but can sometimes persist for weeks or even months. Encephalopathy can be further exacerbated by bacterial infection, which can develop during ventilation. So far there are relatively few reports of meningitis / encephalitis associated with SARS-CoV-2, although it is possible more reports of direct infection will emerge over time, similar to previous coronavirus outbreaks (e.g., the SARS-CoV-1 outbreak in 2003 and the Middle East Respiratory Syndrome outbreak in 2012).
Is there a patient population that is more likely to experiences neurocognitive impacts?
Early reports showed that the most severe cases of COVID-19 were the most likely to develop neurological symptoms. Risk factors for neurocognitive symptoms in those cases are similar to other populations with acute respiratory distress syndrome. Those risk factors include pre-existing diagnoses such as dementia, subarachnoid hemorrhage and epilepsy. Increased risk of neurocognitive effects is also associated with pathophysiological events during acute care, such as hypoxemia, hypoperfusion and inflammatory response. Finally, further increase in risk is observed when management during acute care includes sedation, mechanical ventilation and complications such as delirium.
What types of therapy are used to treat neurocognitive impacts of COVID-19?
In neurorehabilitation programs, interdisciplinary care of COVID-19 patients begins with medication management, which may target alertness, sleep problems and behavior disturbance. Allied health interventions including speech therapy, occupational therapy and physical therapy targeting functional impairment in an attempt to improve independent self-care. The role of nursing evolves from custodial care to intensive education of patients and their families to prepare for the return home. Rehabilitation psychologists focus especially on emotional adjustment to the loss of autonomy and management of associated depression and anxiety.
What is the long-term prognosis for these patients?
********
[1]
9 unconnected molecules or ions with the total composition C27H72O9 at a distorted geometry. Source: the Open Molecules 2025 dataset; level of theory: ωB97M-V with the def2-TZVPD basis set.

```
108
Properties=species:S:1:pos:R:3:forces:R:3
C -1.274 -18.909 -4.348 0.09 -0.44 0.48
C -0.622 -19.280 -3.008 0.47 0.48 -1.29
C -1.400 -20.356 -2.300 -0.38 -0.20 -0.01
O 0.695 -19.794 -3.259 0.03 -0.28 0.52
H -2.309 -18.621 -4.152 -0.02 0.08 -0.27
H -1.241 -19.798 -4.980 -0.19 0.05 -0.10
H -0.722 -18.114 -4.849 -0.08 0.10 0.05
H -0.531 -18.340 -2.454 -0.02 -0.24 0.49
H -0.875 -20.793 -1.452 -0.01 0.29 0.16
H -1.611 -21.193 -2.972 0.15 0.09 -0.16
H -2.375 -19.960 -2.009 0.09 -0.01 0.26
H 1.213 -19.222 -3.835 -0.43 0.19 -0.22
C -1.687 -15.543 -2.284 0.17 -0.30 -0.95
C -2.915 -15.443 -3.213 0.84 0.07 1.43
C -4.170 -15.317 -2.357 -0.51 0.93 -0.94
O -2.753 -14.284 -4.032 -0.28 -0.17 -0.25
H -0.778 -15.577 -2.890 0.00 -0.10 -0.05
H -1.712 -16.454 -1.685 -0.09 0.16 0.22
H -1.590 -14.650 -1.664 -0.26 -0.11 0.23
H -2.935 -16.294 -3.892 -0.12 0.01 -0.03
H -5.006 -15.062 -3.017 -0.05 -0.25 0.06
H -4.039 -14.418 -1.747 -0.02 -0.22 0.31
H -4.461 -16.164 -1.742 0.33 -0.16 0.02
H -2.471 -13.552 -3.473 -0.06 0.03 -0.06
C 4.289 -17.469 -4.882 0.10 0.02 0.26
C 2.930 -17.612 -4.176 1.61 0.99 -0.28
C 2.696 -16.483 -3.162 -0.24 -0.79 0.00
O 1.903 -17.664 -5.150 -0.28 -0.40 0.48
H 4.495 -16.435 -5.173 -0.13 0.01 -0.09
H 4.329 -18.105 -5.766 -0.08 0.00 -0.01
H 5.106 -17.777 -4.225 -0.05 0.06 0.05
H 3.013 -18.554 -3.631 -0.61 -0.17 -0.13
H 3.466 -16.466 -2.390 0.09 -0.03 -0.08
H 1.747 -16.705 -2.667 -0.07 0.33 0.05
H 2.659 -15.508 -3.644 -0.06 0.02 -0.06
H 1.980 -16.890 -5.729 -0.10 -0.18 -0.21
C 0.551 -14.663 -5.662 -0.51 0.19 -0.98
C 0.507 -14.862 -7.178 0.32 0.15 0.10
C 0.550 -13.573 -7.987 -0.23 0.29 0.34
O 1.627 -15.683 -7.552 -0.28 -0.65 -0.03
H 1.509 -14.193 -5.427 -0.24 0.35 0.37
H 0.482 -15.610 -5.132 -0.02 -0.10 -0.05
H -0.343 -14.082 -5.424 0.36 0.29 0.48
H -0.432 -15.353 -7.437 0.32 -0.49 -0.02
H -0.164 -12.850 -7.583 0.15 0.03 0.06
H 0.260 -13.720 -9.026 0.16 -0.26 -0.02
H 1.559 -13.152 -7.966 -0.06 0.15 0.05
H 2.434 -15.214 -7.314 -0.06 0.18 -0.13
C -4.990 -21.239 -5.407 -0.94 -0.09 -0.43
C -4.625 -20.471 -6.677 -0.21 -0.02 0.32
C -3.382 -21.039 -7.304 1.29 0.19 -0.33
O -5.729 -20.614 -7.568 -0.53 -0.27 0.08
H -5.820 -20.749 -4.892 0.17 0.16 0.09
H -4.177 -21.422 -4.709 0.18 0.16 -0.12
H -5.413 -22.197 -5.725 0.27 -0.12 0.06
H -4.554 -19.398 -6.449 0.49 -0.27 0.07
H -3.485 -22.083 -7.603 -0.32 -0.03 0.18
H -2.515 -20.982 -6.636 -0.21 -0.04 0.16
H -3.042 -20.507 -8.199 -0.35 0.15 -0.02
H -5.614 -20.057 -8.342 0.19 0.07 0.00
C -4.220 -16.690 -6.622 -0.07 0.02 -0.41
C -3.775 -15.567 -7.569 -0.34 -0.66 0.68
C -4.924 -14.771 -8.138 -0.79 0.62 0.20
O -2.877 -14.720 -6.878 0.64 0.27 -0.50
H -4.851 -16.323 -5.808 -0.10 0.10 -0.11
H -3.349 -17.166 -6.169 0.10 -0.02 -0.10
H -4.763 -17.457 -7.183 -0.10 0.11 0.16
H -3.273 -16.054 -8.414 0.44 0.24 0.20
********
Early reports are encouraging that many COVID-19 patients will eventually make a full recovery and will be able to return to the roles they had prior to illness onset. Our experience with similar diseases in recent years raises concern that some survivors will experience lasting disability, although the frequency of poor outcome is unknown since there are some aspects of COVID-19 that are unique. Ongoing monitoring of this first cohort of survivors will give us better understanding of prognosis of future cases.
What psychological impacts are patients facing?
Because sedation affects recall, the traumatic experiences of individuals with severe cases may not result in a protracted stress response. Those who remain conscious and alert may experience anxiety about their prognosis, especially when they become aware of the extent of their physical debility. This often remits as patients regain their strength and stamina during rehabilitation. Those who are separated from their families during a prolonged hospital stay are at risk for depression, especially given the quarantine that prohibits contact with visitors, although this also resolves on discharge home. Those with permanent disability are confronted with adjustment issues that remain after discharge and which may require outpatient psychotherapy. This experience is similar to that of other populations (e.g., people with stroke, brain injury, spinal cord injury) who have faced a sudden loss of independence. One different aspect of the present illness is its impact on the livelihoods of not only the patients, but their families and society as a whole. Patients’ resilience to the effects of their illness may be mediated by the resilience of their families and their communities to social and economic disruption.
OUR STAFF AT NEAT CENTER AUSTIN is educated and skilled to work with post covid neurological after affects. We look forward to hearing from you soon.